SMC’s Faculty and Staff Art Show Returns
Southwestern Michigan College’s faculty and staff art show, absent since the pandemic, is like Forrest Gump’s box of chocolates, you never know what you’re going to get. With its return March 5, at least that hasn’t changed.
Shawnee Roy Making a National Name for Herself with Big C Lumber
Shawnee (Gunnett) Roy, 2018 Southwestern Michigan College honor graduate from Lawton, seems like she’s been at this longer than she has since she started at Big C Lumber’s Truss and Panel Plant at 18. Still only 24, she is known nationally through service on four advisory boards.
SMC Niles Campus Hosts 108 for Welding and Robotics Day
Eagle Technologies Manufacturing Manager Jay Bauer likens his Bridgman business to putting puzzle pieces together.
SMC Choir Concert Welcomes Eastern Michigan University
Southwestern Michigan College’s winter choir concert Friday, March 1, “A Jubilant Song,” shares the bill with a guest choir from Eastern Michigan University under the direction of Dr. Brandon Johnson.
‘Man in Motion’ First in Line for SMC Cross-Country Comeback
Whether marching as a musician or being the first male committed to Southwestern Michigan College’s cross-country comeback after a quarter century, Sam Loomis has always been a man in motion. That hasn’t changed since the Roadrunner traded trails for PAC-12 gridirons as one of 40 alto saxophonists in Washington State University’s Cougar Marching Band.
A ‘Labor of Love’ for Valentine’s Day
When you’re Southwestern Michigan College School of Nursing and Health Services, you celebrate Valentine’s Day not with flowers or chocolate, but a “Labor of Love” — a guest speaker who is a labor and delivery nurse. Lisa Pulling, BSN, RN, who has taught obstetrics at SMC for three years, has for eight years been delivering babies at Memorial Hospital in South Bend.
SMC Housing Expansion Moving Forward
The Southwestern Michigan College Board of Trustees at its regular meeting Feb. 14 approved an architectural contract with Carmi Design Group of Edwardsburg for the residence hall expansion project.
SMC Hosts Six Schools for Fourth Band Clinic Day
Southwestern Michigan College’s fourth annual Band Clinic Day Feb. 9 featured six area school bands and more than 300 musicians critiqued just in time for polishing March Southwestern Michigan Band and Orchestra Association (SWMBOA) festival programs.
SMC Celebrates Lunar New Year for Spring
# Records of crystals from another source follow
┌──
[1]
Diffraction record for Bi2O3. The powder XRD pattern is simulated, not measured: it uses DFT lattice parameters and positions (PBE) and a wavelength of 1.5418 Å.

Structural model:
abc: 7.8570 7.8570 6.1316
angles: 90.00 90.00 120.00
Sites, in units of the cell vectors:
Bi: 0.1455 0.8016 0.0000
Bi: 0.1984 0.3439 0.0000
Bi: 0.3333 0.6667 0.4963
Bi: 0.3439 0.1984 0.5000
Bi: 0.6561 0.8545 0.0000
Bi: 0.6667 0.3333 0.9963
Bi: 0.8016 0.1455 0.5000
Bi: 0.8545 0.6561 0.5000
O: 0.0758 0.5791 0.7003
O: 0.1177 0.2542 0.3786
O: 0.1366 0.8823 0.3786
O: 0.2542 0.1177 0.8786
O: 0.4209 0.4967 0.7003
O: 0.4967 0.4209 0.2003
O: 0.5033 0.9242 0.7003
O: 0.5791 0.0758 0.2003
O: 0.7458 0.8634 0.3786
O: 0.8634 0.7458 0.8786
O: 0.8823 0.1366 0.8786
O: 0.9242 0.5033 0.2003

Largest 10 diffraction maxima, by angle, 2θ = 10–80°:
- 26.19°, I = 22.6
- 29.13°, I = 24.9
- 30.04°, I = 100.0
- 39.57°, I = 20.1
- 46.22°, I = 21.5
- 52.21°, I = 25.3
- 55.57°, I = 23.0
- 56.11°, I = 15.6
- 75.55°, I = 11.6
- 79.28°, I = 8.5

***

[2]
Diffraction record for Bi2O3. The powder XRD pattern is simulated, not measured: it uses DFT lattice parameters and positions (PBE) and a wavelength of 1.5418 Å.

Structural model:
abc: 5.5105 5.5105 5.7171
angles: 90.00 90.00 90.00
Sites, in units of the cell vectors:
Bi: 0.2367 0.2367 0.0000
Bi: 0.2367 0.7633 0.5000
Bi: 0.7633 0.2367 0.5000
Bi: 0.7633 0.7633 0.0000
O: 0.0000 0.0000 0.2500
O: 0.0000 0.0000 0.7500
O: 0.0000 0.5000 0.2500
O: 0.0000 0.5000 0.7500
O: 0.5000 0.0000 0.2500
O: 0.5000 0.0000 0.7500

Largest 10 diffraction maxima, by angle, 2θ = 10–80°:
- 27.71°, I = 100.0
- 31.29°, I = 14.3
- 32.50°, I = 25.2
- 45.74°, I = 32.3
- 46.62°, I = 14.9
- 53.53°, I = 16.9
- 55.10°, I = 29.4
- 57.22°, I = 10.8
- 73.66°, I = 12.8
- 74.99°, I = 5.8

***

[3]
Diffraction record for Bi6P2O15. The powder XRD pattern is simulated, not measured: it uses DFT lattice parameters and positions (PBE) and a wavelength of 1.5418 Å.

Structural model:
abc: 7.8987 7.8987 17.2987
angles: 102.20 102.20 41.15
Sites, in units of the cell vectors:
Bi: 0.0247 0.0247 0.4040
Bi: 0.0706 0.0735 0.9171
Bi: 0.1198 0.1753 0.2383
Bi: 0.3030 0.2685 0.6185
Bi: 0.3968 0.4003 0.9139
Bi: 0.4085 0.5144 0.2542
Bi: 0.4856 0.5915 0.7458
Bi: 0.5997 0.6032 0.0861
Bi: 0.7315 0.6970 0.3815
Bi: 0.8247 0.8802 0.7617
Bi: 0.9265 0.9294 0.0829
Bi: 0.9753 0.9753 0.5960
P: 0.3010 0.2744 0.0944
P: 0.4144 0.3010 0.4252
P: 0.6990 0.5856 0.5748
P: 0.7256 0.6990 0.9056
O: 0.0092 0.8438 0.2949
O: 0.1368 0.5314 0.1501
O: 0.1388 0.5706 0.4441
O: 0.1562 0.9908 0.7051
O: 0.1732 0.1886 0.0883
O: 0.1855 0.6291 0.6649
O: 0.2210 0.7254 0.8342
O: 0.2545 0.7455 0.0000
O: 0.2746 0.7790 0.1658
O: 0.3018 0.3230 0.0144
O: 0.3709 0.8145 0.3351
O: 0.3891 0.1944 0.7438
O: 0.4005 0.1590 0.3515
O: 0.4294 0.8612 0.5559
O: 0.4686 0.8632 0.8499
O: 0.5616 0.1262 0.4954
O: 0.5669 0.3380 0.4035
O: 0.5730 0.0645 0.1362
O: 0.6620 0.4331 0.5965
O: 0.6770 0.6982 0.9856
O: 0.6926 0.1099 0.6646
O: 0.7258 0.2107 0.8378
└──
Southwestern Michigan College residence halls rang in Chinese New Year and the Year of the Dragon Feb. 6 with pageantry and an authentic tea ceremony.
### Crystal structures, as found in the file
=====
Theoretical X-ray diffraction stick pattern of Zr3Rh for Cu Kα (λ = 1.5418 Å), from a DFT-relaxed cell (PBE, the Materials Project).
Peak positions follow from Bragg's law for the DFT cell and can differ from measured ones.

Peak list (10 most intense, 2θ = 10–80°, in order of rising 2θ)
2θ/deg  d/Å  I/Imax
33.31  2.689  85
33.84  2.649  99
35.40  2.536  92
37.38  2.406  42
37.86  2.376  100
39.28  2.294  80
42.86  2.110  31
60.88  1.522  31
69.95  1.345  29
72.75  1.300  28

Atomic structure:
abc: 8.1332 8.1332 8.1332
angles: 97.18 97.18 138.60
Sites, in units of the cell vectors:
Zr  0.0000  0.3549  0.3549
Zr  0.0000  0.6451  0.6451
Zr  0.0442  0.4535  0.0000
Zr  0.1366  0.1366  0.8076
Zr  0.3290  0.3290  0.1924
Zr  0.3549  0.0000  0.3549
Zr  0.4535  0.0442  0.0000
Zr  0.5465  0.5465  0.5906
Zr  0.6451  0.0000  0.6451
Zr  0.6710  0.8634  0.0000
Zr  0.8634  0.6710  0.0000
Zr  0.9558  0.9558  0.4094
Rh  0.2075  0.5000  0.7075
Rh  0.5000  0.2075  0.7075
Rh  0.5000  0.7925  0.2925
Rh  0.7925  0.5000  0.2925

* * * * *

Entry 1:
For BaRe2H2O9, the PBE geometry in OQMD gives the calculated XRD peak list in this record (a wavelength of 1.5418 Å).
Intensities are scaled so that the largest is 100.

The 12 most intense peaks (2θ from 10° to 90°), low angle first:
2theta  I (rel.)
11.63  22
11.96  19
23.69  54
23.84  53
24.06  23
25.04  65
25.58  100
26.34  27
27.43  27
27.65  34
43.74  23
45.47  19

Atomic structure:
a = 7.1492 Å, b = 7.3989 Å, c = 15.2938 Å
α = 89.82°, β = 84.24°, γ = 89.50°
Atoms (fractional coordinates):
Ba 0.2159 0.1914 0.1398
Ba 0.2232 0.8182 0.6409
Ba 0.7768 0.1818 0.3591
Ba 0.7841 0.8086 0.8602
Re 0.2365 0.3057 0.5138
Re 0.2372 0.6977 0.0104
Re 0.2814 0.8621 0.3536
Re 0.3006 0.1435 0.8518
Re 0.6994 0.8565 0.1482
Re 0.7186 0.1379 0.6464
Re 0.7628 0.3023 0.9896
Re 0.7635 0.6943 0.4862
H 0.0754 0.4997 0.2865
H 0.0835 0.4928 0.7771
H 0.4143 0.4534 0.2806
H 0.4227 0.5683 0.7912
H 0.5773 0.4317 0.2088
H 0.5857 0.5466 0.7194
H 0.9165 0.5072 0.2229
H 0.9246 0.5003 0.7135
O 0.0030 0.5787 0.7473
O 0.0776 0.3475 0.4361
O 0.0820 0.6300 0.9354
O 0.1199 0.8493 0.0856
O 0.1275 0.1724 0.5995
O 0.1571 0.0298 0.3004
O 0.1785 0.9654 0.8068
O 0.2134 0.8733 0.4660
O 0.2351 0.1596 0.9642
O 0.2488 0.6415 0.3151
O 0.2557 0.3532 0.8036
O 0.3107 0.5069 0.5586
O 0.3202 0.5137 0.0679
O 0.4257 0.8052 0.9501
O 0.4329 0.1947 0.4605
O 0.4557 0.8935 0.1627
O 0.4772 0.0954 0.6619
O 0.4910 0.3587 0.2483
O 0.5090 0.6413 0.7517
O 0.5228 0.9046 0.3381
O 0.5443 0.1065 0.8373
O 0.5671 0.8053 0.5395
O 0.5743 0.1948 0.0499
O 0.6798 0.4863 0.9321
O 0.6893 0.4931 0.4414
O 0.7443 0.6468 0.1964
O 0.7512 0.3585 0.6849
O 0.7649 0.8404 0.0358
O 0.7866 0.1267 0.5340
O 0.8215 0.0346 0.1931
O 0.8429 0.9702 0.6996
O 0.8725 0.8276 0.4005
O 0.8801 0.1507 0.9144
O 0.9180 0.3700 0.0646
O 0.9224 0.6525 0.5639
O 0.9970 0.4213 0.2527



Entry 2:
For Ba2ZnH6O6, the PBE geometry in OQMD gives the calculated XRD peak list in this record (a wavelength of 1.5418 Å).
=====
SMC's Spring Faculty Recital Features Clarinets
Southwestern Michigan College’s “The ABCs of the American Clarinet” shined a spotlight on the often-unsung “licorice stick” Feb. 6. Joining Scott Kurtzweil for the spring faculty recital were collaborative pianist Christine Seitz, drummer Glenn McFarland and, from the SMC Clarinet Studio, students Dakotah Chandler, Logan Lampe, Madison Sutherland and Mikayla Williams.